Soaring with Eagles

These calculated molecules were left in the text by mistake >
____________
(1)
{"formula": "CH2O2", "method": "the ωB97M-V functional and the def2-TZVPD basis", "species": ["O", "C", "O", "H", "H"], "xyz": [[1.11763, -1.03351, -0.39946], [0.40784, -0.13095, -0.09455], [-0.94808, -0.22865, -0.11735], [0.72944, 0.85153, 0.27188], [-1.30684, 0.54159, 0.33949]], "homo_lumo_gap_ev": 11.607, "smiles": "O=CO", "energy_ha": -189.78251, "e_homo_ev": -11.0, "e_above_lowest_kj_mol": 16.32}

***

(2)
{"formula": "C5H6N", "method": "the ωB97M-V functional and the def2-TZVPD basis", "species": ["C", "C", "C", "C", "C", "N", "H", "H", "H", "H", "H", "H"], "xyz": [[-0.17223, 2.48322, -0.45461], [-1.11865, 1.74879, -0.21783], [-1.16499, 0.38280, 0.25167], [0.14871, 1.06704, 0.52414], [0.59123, -1.38588, -0.14279], [0.04453, -0.02816, -0.42458], [-1.59147, -0.36155, 0.91759], [0.84565, 1.00478, 1.25310], [0.56208, -1.63738, 0.89560], [-0.00101, -2.12707, -0.62056], [1.71143, -1.46137, -0.56630], [0.14472, 0.31479, -1.41542]], "homo_lumo_gap_ev": 10.692, "total_charge": 1, "energy_ha": -248.32249, "e_homo_ev": -15.2, "e_above_lowest_kj_mol": 769.81}

***

(3)
{"formula": "C4H5NO2", "method": "the ωB97M-V functional and the def2-TZVPD basis", "species": ["N", "C", "C", "C", "O", "C", "O", "H", "H", "H", "H", "H"], "xyz": [[-2.12831, -0.47947, -0.23972], [-1.03959, 0.30747, 0.04045], [0.22696, -0.42864, 0.17224], [1.45707, 0.18007, 0.15091], [2.60985, -0.51218, 0.01813], [1.55559, 1.50903, 0.61624], [-1.15679, 1.52111, 0.17773], [-2.97691, 0.01728, -0.46627], [-2.01518, -1.39770, -0.63855], [0.17850, -1.50332, 0.35082], [2.39556, -1.41312, -0.26415], [0.89326, 2.19948, 0.08218]], "homo_lumo_gap_ev": [7.789, 7.886], "energy_ha": -360.51902, "e_homo_ev": [-9.0, -8.7], "e_above_lowest_kj_mol": 394.87}

***

What is the formula in the third record? C4H5NO2
____________

Bald eagles at George Washington Birthplace National Monument
Hope this finds you well and looking forward to a new season! It doesn’t take an “eagle-eye” to see spring on the horizon and the coming gifts of nature with its blossoms and greenery.
Eagles — A National Symbol
Eagles are our national symbol, chosen to represent the United States in June of 1782 and incorporated into the Great Seal of the United States after Secretary of Congress Charles Thomson suggested the “American eagle" as an emblem for this seal.

The white-feathered eagle heads are referred to as “bald”, but these fine creatures are fully feathered. Bald eagles have long been attributed with the gift of keen distance vision, being able to see their prey miles away! Eagles have five times as many light-sensing cells in their eyes than do humans, with most of these cells including cones that see color. Humans, on the other hand, have a much smaller percentage of cone cells that see color. Eagles also have the ability to use their eyes independently or together, depending on what they’re focused on.
The symbolism of eagles is legend, going back to ancient times when the eagle was considered a symbol of strength. During the Revolutionary War, it has been said that a bald eagle seen on a battlefield one early morning emitted a piercing cry for freedom to Patriot soldiers for a call to arms against the British. Bald Eagles are found primarily in North America, so the British would surely have been alarmed!
"Old Abe" The Bald Eagle
During the American Civil War, a bald eagle named “Old Abe” created his own legend as mascot of the 8th Wisconsin Volunteer Infantry Regiment. This famous bald eagle was taken from his nest when he was two weeks old, in northern Chippewa County, Wisconsin, by a Chippewa Indian, who sold the bald eagle for a small sum to soldiers from Eau Claire County, later known as Company C of the 8th Wisconsin.

Named after Abraham Lincoln, “Old Abe”, as the 8th Wisconsin’s pet, was assigned a prominent place near their Colors and had a special perch. He was with the Regiment during the Siege of Corinth, the Battle of Iuka, Siege of Vicksburg and the Battle of Fort DeRussy, among other battles. These battlefields are all sites where the American Battlefield Trust has preserved land, totaling approximately 969 acres to date!
In 1864, after their three-year enlistment, veterans of the 8th Wisconsin traveled back to Wisconsin along with “Old Abe”, who was then given to the State of Wisconsin. He was their celebrity, on display and later making appearances at the 1876 Centennial Exposition in Philadelphia. “Old Abe” lived until 1881, slightly less than the typical life span of a bald eagle. The image of “Old Abe” is depicted on the U.S. Army’s 101st Airborne Division, along with other honorable “perches” including the Wisconsin Memorial at the Vicksburg National Military Park.

Thanks to federal protections as well as the regulation of the use of DDT, the bald eagle is no longer the endangered species it had at one time become. Hopefully, this spring, you’ll be able to see a bald eagle on a battlefield, soaring high in the sky or perched on a nest in a tall tree. Our national symbol is majestic!